What Chinese graduates should do in this tough job market

What Chinese graduates should do in this tough job market

A record seven million students are expected to graduate from mainland Chinese universities this year, up 2.8 per cent from last year. But with the employment market tightening and competition rising, how are they all going to find jobs?

It should be easy; Chinese students have to be the most diligent bunch of students in the world. From secondary to post-graduate school, they spend every spare minute nose-in-book, cramming for the next test, completing endless hours of homework and taking extra classes at the weekend. A little boy of a friend of mine is six years old. He’s allowed to watch 30 minutes of television a week and play with his friends for an hour. The rest of his time is spent either studying or doing extra activities, such as practising Chinese calligraphy and English, using the abacus, playing tennis and swimming. Surely all of this should lead to a well-rounded student, or could it be a question of quantity exceeding quality?

Let’s examine a few of the reasons why graduates are finding it more difficult to find work. The Chinese economy’s growth is slowing, which would tighten the job market. And often graduate recruitment is the first area to be cut. The Ministry of Education has reported that 15 per cent fewer jobs are on offer for new hires this year than in 2012, according to a survey of 500 leading firms. This causes more competition for the fewer jobs that are available.

While a decade of rapid expansion in China ’s higher education sector has brought many benefits, it has also brought unrealistic expectations from students and an economy that cannot absorb so many graduates into well-paid jobs. This is not limited to undergraduates. A recent survey of Chinese MBA students showed that, on average, they expected to increase their salary by 345 per cent after graduating!

For many graduates, the first choice would be to go into government or to state-owned enterprises; large foreign-owned multinational corporations would be next on the list. The top levels of state-owned companies reserve their places for students from elite universities or those with good connections, and many firms are under pressure to reform. Multinationals are still looking for excellent graduates, especially those with science and engineering backgrounds, but again the competition is tough.

It’s wise to choose as carefully as possible for your first job, but certainly a degree of open-mindedness is needed. Perhaps it is time for grads to forget the brand and consider joining a smaller, local company that can offer real, practical hands-on experience.

Graduates need to maximise their chances of finding work. To do that, they need to consider the following:

Have realistic expectations

In my experience in recruiting fresh grads in Shanghai , salary expectations have almost doubled in the past three years. While starting salary is important for a grad, it should be far less important than training and career development. Find something that you are good at and that you like, and the money will follow, rather than the other way round.

Think very carefully about what major you decide to study

Traditional degrees in science, maths, engineering and medicine will always be in demand, as will other vocational degrees. A business degree can be useful, but it is very important to look into what you will be studying; something that is too abstract or that doesn’t teach you real-world skills is not so interesting to a future employer.

The latest Antal Global Snapshot survey on hiring and firing trends revealed that companies were significantly growing their headcounts in China. In fact, a high majority of companies in the automotive, retail and luxury goods, and health care industries said in April and May that they were hiring specialists for managerial positions. Although the survey targets experienced talents, demand in these areas is expected to remain high, with positions in sales and marketing, IT and accounting, as well as research and development in most demand.

As disposable income increases, demand in consumer-led industries becomes stronger, and fresh graduates should be paying attention to these economic trends when choosing their major and their first job.

-- Next to the entry, the page also holds crystal structures --
┌──
Record 1
The following is a calculated X-ray diffraction stick pattern of Cs3CeSm3Te8. It was derived from a structure optimized by DFT (PBE), using copper Kα.
Lines closer than 0.1° are merged.

Structural model:
```
data_Cs3CeSm3Te8
_cell_length_a 9.1292
_cell_length_b 9.1292
_cell_length_c 27.3164
_cell_angle_alpha 90.00
_cell_angle_beta 90.00
_cell_angle_gamma 120.00
_symmetry_space_group_name_H-M 'R -3 m'
_symmetry_Int_Tables_number 166
_symmetry_space_group_name_Hall '-R 3 2"'
loop_
_atom_site_label
_atom_site_fract_x
_atom_site_fract_y
_atom_site_fract_z
Cs1 0.0000 0.5000 0.0000
Ce1 0.0000 0.0000 0.5000
Sm1 0.0000 0.5000 0.5000
Te1 0.0000 0.0000 0.2309
Te2 0.0036 0.5018 0.2298
```

Principal peaks in the range 2θ from 10° to 90°, sorted by position:
(0 2 4), 26.0°, intensity 100.0; (0 2 7), 32.2°, intensity 15.5; (2 0 8), 34.7°, intensity 31.9; (2 2 0), 39.5°, intensity 37.8; (2 0 11), 43.0°, intensity 10.4; (4 0 4), 47.9°, intensity 18.8; (0 4 8), 53.6°, intensity 9.3; (2 4 4), 63.8°, intensity 16.0; (4 2 8), 68.6°, intensity 8.6; (2 2 18), 75.2°, intensity 7.5


Record 2
The following is a calculated X-ray diffraction stick pattern of CsCe2Te3. It was derived from a structure optimized by DFT (PBE), using copper Kα.
Lines closer than 0.1° are merged.

Structural model:
```
data_CsCe2Te3
_cell_length_a 4.5845
_cell_length_b 4.5845
_cell_length_c 25.4377
_cell_angle_alpha 90.00
_cell_angle_beta 90.00
_cell_angle_gamma 120.00
_symmetry_space_group_name_H-M 'P 63/m m c'
_symmetry_Int_Tables_number 194
_symmetry_space_group_name_Hall '-P 6c 2c'
loop_
_atom_site_label
_atom_site_fract_x
_atom_site_fract_y
_atom_site_fract_z
Cs1 0.0000 0.0000 0.2500
Ce1 0.3333 0.6667 0.0723
Te1 0.0000 0.0000 0.0000
Te2 0.3333 0.6667 0.6421
```

Principal peaks in the range 2θ from 10° to 90°, sorted by position:
(1 0 3), 24.8°, intensity 14.3; (1 0 4), 26.5°, intensity 100.0; (1 0 5), 28.5°, intensity 79.1; (1 0 8), 36.2°, intensity 23.7; (1 0 9), 39.1°, intensity 36.3; (1 1 0), 39.3°, intensity 65.7; (2 0 4), 48.0°, intensity 19.4; (2 0 5), 49.3°, intensity 17.3; (2 1 4), 63.7°, intensity 16.5; (2 1 5), 64.8°, intensity 15.1


Li3Sm4Bi8: calculated PXRD pattern (CuKα), based on the GGA-PBE geometry in Alexandria.
Intensities are scaled so that the largest is 100.

Crystal structure
a = 4.552 Å, b = 4.552 Å, c = 20.349 Å
α = 90.00°, β = 90.00°, γ = 90.00°
Positions (direct):
1 Li 0.000 0.000 0.000
2 Li 0.000 0.000 0.500
3 Li 0.500 0.500 0.000
4 Sm 0.000 0.500 0.134
5 Sm 0.000 0.500 0.615
6 Sm 0.500 0.000 0.385
7 Sm 0.500 0.000 0.866
8 Bi 0.000 0.000 0.259
9 Bi 0.000 0.000 0.741
10 Bi 0.000 0.500 0.429
11 Bi 0.000 0.500 0.913
12 Bi 0.500 0.000 0.087
13 Bi 0.500 0.000 0.571
14 Bi 0.500 0.500 0.259
15 Bi 0.500 0.500 0.741

Most intense lines, 2θ = 10–90°, sorted by position:
- 2θ = 26.27°, I 58
- 2θ = 27.71°, I 8
- 2θ = 29.10°, I 63
- 2θ = 32.93°, I 100
- 2θ = 39.59°, I 45
- 2θ = 48.15°, I 36
- 2θ = 49.04°, I 14
- 2θ = 57.24°, I 16
- 2θ = 64.04°, I 13
└──
-- The crystal structures stop here --

Additionally, if you are trying to get a job in an area that has nothing to do with your degree then you are probably going to be near the back of a very long queue.

At university, all undergrads should to do as much non-study as possible

Although your degree is your main focus, participating in charity activities, joining sport teams, doing part-time work or joining societies will add strings to your bow that academic study cannot provide. It might also make you stand out from the hundreds of other first-class students.

Be persistent and flexible

You are very unlikely to find your ideal job, therefore it’s important to be prepared to accept something that was not perfect, but offers you a route to the job you want.

Emilie Bourgois is a PR manager at recruitment firm Antal International China in Beijing